Date walked: 1st December 2013
Distance: about 6 miles
The walk is within the area of The Brecon Beacons National Park.
A walk with Paul was long overdue and for this winter trek, which Paul had planned, I had the added bonus of him bringing his son, David, who I had not met before. We assembled at the car park at Craig-y-nos Country Park which is right next to the castle of the same name. I knew nothing of this place so Paul filled me in as we carried on in his car to a lay-by at the foot of Fan Gyhirych.
The castle is not a castle, of course but a Victorian house built in gothic style and was the home of the then famous but now little known (meaning I’d never heard of her) opera singer, Adelina Patti from 1878-1919. More of her anon and there is quite a lot of history on the website for the castle, which is now a hotel. My apologies for omitting to stop for a pic of the place. Here’s one I have lifted off a website – a hanging crime.
From the lay-by a stile in a fence marked a rough path that appeared to lead straight up what looked like a 45 degree slope. Which was several more degrees than I like to start a day’s walk facing. Paul led the way, who was quickly overtaken by David, as apparently as comfortable with the gradient as a young sheep.
I was puffing and panting in no time and David (Young in Limb, Fleet of Foot, Fit in appearance) disappeared from view. As we climbed so we gained a good view of the Cray reservoir. We were not on a path as such and we gained altitude by scrambling up the steep slope across the natural folds of the hillside.
David’s stamina seemed short-lived (very gratifying) and Paul and I passed him and took a breather by a conglomerate outcrop whilst David struggled up behind us.
I was beginning to flag myself and asked Paul if we were near the top. “No, there’s another steep bit” he sheepishly replied. But he was wrong (most unusual) and I made the first sighting a couple of minutes later of the rather weathered trig point that sits at the top of this 725 metre hill.
Looking south-east on this moderately windy day I reckoned that about only half of the distant wind-turbine power station’s (please don’t call them farms) pylons were turning.
From here it was pretty much downhill all the way. We took the wide track that heads south towards a wood, speculating on what it was being used for. Forestry access? Illicit off-roaders? Moorland raves?
Just past the wood a farmer had rounded up a group of sheep and cattle into what looked to me to be an old quarry. Paul thought he might be feeding them; I didn’t have a better hypothesis.
The geology changes dramatically around here from sandstone to limestone. From the map I could see a route past a Swallow Hole onto the Beacons Way and the others were game for trying this. The swallow hole was easily located and is clearly used as an access to a cave system below.
The Beacons Way is well walked, so that was easy to find, too and in a few hundreds yards we were passing a limestone boulder strewn hillside.
This area is designated as the Ogof Ffynnon Ddu (the Welsh love their place names being a mouthful) Nature Reserve and beneath it is one of the largest cave systems discovered in Britain. The views across this rocky landscape were superb.

It’s always fascinating to see isolated trees in such obviously inhospitable scenery. Why there!! Fan Hir behind.
We passed another sink hole and I wanted to see if the bottom was firm. I hadn’t really thought about the plan B should it have collapsed under me.

Paul took great care to place himself so that the pic would look as if I was in a hole in the ground.
I was delighted to find some sheep grazing amongst the rough tussocks of grass.
And with sheep there is, of course, sheep-shit, which to date I am ashamed to say,has not featured in any blog post up to now. I love the smell of sheep (just saying).
It really was shame to leave this landscape……
…..but Paul and David wanted to get to the pub and were beginning to mutter about my constant pauses for snaps (ok, I’ve made that up) and were forging ahead.
We crossed the line of a dismantled tramway and a row of cottages that Paul (Fount of All Knowledge) told me was now providing accommodation for cavers.
The terrace would almost certainly have provided accommodation for quarry workers. This fascinating area of post industrial archaeology is what remains of the village of Penwyllt.
Just past the terrace is the line of the dismantled Swansea Vale and Neath and Brecon Junction railway line and a modest station building.
Paul had told me (not without a hint of admiration I would say) that Adelina Patti had had this built for her use and would be picked up from there in her carriage to be taken down the road that she also had made to the castle. Wikipedia confirms this, adding that she had her own waiting room in the station and that in return the railway line provided her with her own carriage!

Closed in 1977 it reopened in 2007 briefly to provide stone for a major gas pipe installation that crossed Wales
To the side of the railway line is a large limestone quarry, now disused. It required investigation so we clambered over the fence for a nosey around.
What seemed extraordinary to me was that around us were massive mounds of graded stone and there was clearly no shortage of useful rock remaining. I would usually be in the opposition camp to quarrying in important landscapes but since it was here, it seemed to me outrageously wasteful that the rock wasn’t being used.
As we got to the centre of the quarry we came across a man training up a bird of prey to do that very clever trick for our entertainment where they get the bird to fly off and then fly back for some food. The bird had definitely got the hang of the flying off bit of the trick.
I could have spent a lot longer exploring this place but we had an appointment at the pub. Leaving the Beacons Way we took another clear path down by the side of a wood, passing a grubby caver emerging from a hole in the side of the hill.
The wood opposite us was a tapestry of the muted colours of denuded trees though with one holding onto its golden leaves.
What comes next are records of crystals, not part of the piece.
~~~
Here is crystalline CdCu5 at its relaxed geometry from Alexandria. Energies are from PBE.

Geometry as extended XYZ:
```
6
Lattice="-2.968 1.250 1.783 -0.928 -3.394 -2.965 1.741 -2.392 4.576" Properties=species:S:1:pos:R:3 pbc="T T T"
Cu -2.146 -4.199 3.171
Cu -1.642 -0.860 1.670
Cu -0.410 -3.154 1.529
Cu -2.999 -3.134 1.005
Cu -0.789 -1.924 3.836
Cd -1.280 -1.958 -0.759
```
~~~
Our path turned back onto the Beacons Way and entered the tall conifer plantation that would have been part of Adelina Patti’s estate and still forms part of the Craig y nos Park.
We paused on the bridge that crosses the confluence of the Nant Tywynni with another stream that emerges nearby. A girl was playing Pooh sticks and I thought I’d take a snap, though I’m not sure that her accompanying Gran approved.
It had been an excellent walk and after we had re-united ourselves with our cars Paul and David led the way to the nearby Ancient Briton.
I could see why Paul had wanted me to see the place. It had a great atmosphere and a wide range of beers and an interesting menu. I ordered the wild bear pate. “Do you mean the wild boar pate” the landlord asked? “Well I’d rather the bear but I’ll settle for the boar” Paul laughed.
All the photographs on this and most of my other posts were taken on a Canon compact and were processed from Raw files. High resolution files and/or prints of up to A3+ size can be produced on request. Email me for costs at
Good walk that! Though I doubt any of the sheep would be classed as Hawes, most likely being Welsh and not from the Yorkshire Dales.
At last! We can talk about one of your pics as being really shitty! Which reminds me of the true story of the couple that took their young son on a trek into the Beacons to collect wimberries and the son proudly produced the bag he’d collected but pointed out that they tasted nasty!
Caves may also be for spelunkers, you know. But somewhere in between the them and the overly-academic speleologists you have the cavers who really enjoy the caves. And talking of caves, the link to Ogof Ffynnon Ddu doesn’t work for me.
Yes, its always good to walk with Paul (and his family).Aha, If you are thinking of the riddle about the sheep, its not linked to my name. Thanks for pointing out the broken link. I shall use your alternative.
Sounds and looks like a fun day. Nice views from the top. Can’t say I mind steep ascents from the off. Bit like vegetables. Eat them first and get it over with… Black sail…!
Lots to say about holes. Ask Bernard cribbens…
Yes indeed a very interesting and enjoyable walk. I remember when we did our Offas Dyke walk to Hay we had a massive slog uphill at the start and then it was long but plain sailing! But even that was nothing to compare to that pull out of Black Sail.
Yes, that link comes up with a very odd message. And not about sheep, either… Xx
Just been checking. The Countryside Council (CCW) no longer exists, of course, and its website is “in transition” as relevant stuff is shifted to the new Natural Resources Wales site. The page to which your link points seems to have disappeared into a sink hole in the process. I’ve found it’s always risky to link to any site ending in “” as they don’t understand the meaning of “stability”!
You might want to replace it with either of the following (the first is much more fun once you work it out):
Charles, you were far more gentlemanly in your commentary than I was expecting! I learned something new about that quarry, I had no idea it was used in Dr Who.The scramble up the slope was a challenge worth conquering was it not?
Indeed Sirrah, I take your comments about my gentlemanliness to suggest that I am at times otherwise not so which is a gross insult. I demand satisfaction.
I suggest choosing sheep as weapons…
‘Walker disappears down sinkhole’
Next to the page, the page also holds data records =
********
[1]
Here is a relaxed PmPu4Ge3 crystal from Alexandria. Energies are from PBE-GGA.

a = 7.922 Å, b = 7.922 Å, c = 8.389 Å
α = 118.18°, β = 118.18°, γ = 90.00°
Each line ends with the local moment (μB).
Fractional coordinates of all 16 atoms:
Ge 0.357 0.143 0.000  -0.11
Pu 0.812 0.312 0.312  5.47
Pu 0.000 0.812 0.312  5.47
Pm 0.000 0.000 0.000  0.10
Ge 0.750 0.750 0.500  -0.16
Pu 0.500 0.000 0.312  5.47
Ge 0.643 0.857 0.000  -0.11
Ge 0.250 0.250 0.500  -0.16
Pu 0.500 0.000 0.688  5.47
Pu 0.312 0.500 0.312  5.47
Pu 0.688 0.500 0.688  5.47
Pu 0.000 0.188 0.688  5.47
Pm 0.500 0.500 0.000  0.10
Pu 0.188 0.688 0.688  5.47
Ge 0.143 0.643 0.000  -0.11
Ge 0.857 0.357 0.000  -0.11

Computed properties:
- Magnetization: 23.09 μB/f.u.
- Crystal system: tetragonal
- Calculated total energy: -0.36447 Ha/atom
- Formation energy from the elements: -426 meV/atom

---

[2]
Here is a relaxed Dy2PuSn crystal from Alexandria. Energies are from PBE-GGA.

a = 4.606 Å, b = 4.867 Å, c = 4.867 Å
α = 90.00°, β = 90.00°, γ = 90.00°
Each line ends with the local moment (μB).
Fractional coordinates of all 4 atoms:
Sn 0.500 0.000 0.000  -0.06
Dy 0.000 0.000 0.500  0.35
Pu 0.500 0.500 0.500  5.60
Dy 0.000 0.500 0.000  0.35

Computed properties:
- Magnetization: 6.72 μB/f.u.
- Distance to the lowest polymorph of the same formula: 0 meV per atom
- Crystal system: tetragonal
- Calculated total energy: -0.26465 Ha/atom
- Formation energy from the elements: -317 meV/atom

---

[3]
Here is a relaxed RbNaSe crystal from Alexandria. Energies are from PBE-GGA.

a = 4.965 Å, b = 4.888 Å, c = 4.888 Å
α = 120.00°, β = 90.00°, γ = 90.00°
Fractional coordinates of all 3 atoms:
Se 0.168 0.333 0.667
Na 0.166 0.000 0.000
Rb 0.666 0.667 0.333

Computed properties:
- Magnetization: 0.00 μB/f.u.
- Formation energy from raw total energies: -1001 meV/atom
- Crystal system: trigonal
- Calculated total energy: -0.10747 Ha/atom

---

[4]
Here is a relaxed HfS2N crystal from Alexandria. Energies are from PBE-GGA.

a = 5.100 Å, b = 5.100 Å, c = 6.683 Å
α = 67.57°, β = 67.57°, γ = 90.00°
Fractional coordinates of all 8 atoms:
N 0.500 0.500 0.000
Hf 0.750 0.250 0.500
N 0.250 0.750 0.500
S 0.569 0.125 0.250
S 0.375 0.431 0.750
S 0.875 0.819 0.750
Hf 0.000 0.000 0.000
S 0.181 0.625 0.250

Computed properties:
- Magnetization: 0.00 μB/f.u.
- Formation energy from raw total energies: 488 meV/atom
- Crystal system: tetragonal
- Calculated total energy: -0.22586 Ha/atom

---

Repeat the second record exactly.
Here is a relaxed Dy2PuSn crystal from Alexandria. Energies are from PBE-GGA.

a = 4.606 Å, b = 4.867 Å, c = 4.867 Å
α = 90.00°, β = 90.00°, γ = 90.00°
Each line ends with the local moment (μB).
Fractional coordinates of all 4 atoms:
Sn 0.500 0.000 0.000  -0.06
Dy 0.000 0.000 0.500  0.35
Pu 0.500 0.500 0.500  5.60
Dy 0.000 0.500 0.000  0.35

Computed properties:
- Magnetization: 6.72 μB/f.u.
- Distance to the lowest polymorph of the same formula: 0 meV per atom
- Crystal system: tetragonal
********
The data records stop here =
Well known Monmouthshire celebrity walker, Charles Hawes, has disappeared whilst out walking with friends in the Beacons.
‘Haven’t you taken enough pictures already,it’s time for the pub’, his friends tearfully admitted had been their last words to Charles. But no, his search for the elusive, perfect snap was too compelling, or perhaps he was lured by the plaintiff bleating of a sheep, imagined or real. Sadly we’ll never know.
But wait, Charles had taken a nifty shortcut to the pub, so they all had a jolly good laugh over a pint, and Charles was able to buy his round after all
Haha, love this. Mind you, no one tried to stop me!You’ll have to invite me on one of your walks and I’ll get a round in (if its on a train route home!)